Friday, 29 November 2013

People die after vaccinations - shock, horror, probe

Apparently, people are interested in the last meal of a condemned man.  Why, I don't know.  That's not the cause of death.
Curiously, Lynne McTaggart is keen to push her anti-vaccine agenda and prints a news item in her journal of record rubbish with the title "People do die after vaccination".  Well, duh!
Her expose says that, for the first time, it is admitted that people have died after having had vaccinations.  In fact, 15,000 of them over a three year period in the US.  Sounds frightening, doesn't it?
The link given is to this paper, Mortality rates and cause-of-death patterns in a vaccinated population ( 2013 Jul;45(1):91-7. doi: 10.1016/j.amepre.2013.02.020).  Luckily, and in something that is becoming a bit of a habit at WDDTY, this looks like another foot in mouth for the plucky investigative journalists at the esteemed journal.  If only they learned to read.
As the authors of the paper put it:
In the overall distribution of cause of death classified by
body system among all ages, the categories that represent the
majority of the distribution include diseases of the circulatory
system (32%); neoplasms (24%); and diseases of the
respiratory system (10%). In children aged 0–18 months,
congenital malformations, deformations, and chromosomal
abnormalities (22%) were the leading cause of death within
30 days of a vaccination visit; sudden infant death syndrome
(SIDS) was the second-leading cause of death (16%). The
leading cause of death within 60 days of a vaccination visit in
children aged 0-18 years was external causes of morbidity
and mortality (21%); next in leading causes of death were
congenital malformations, deformations, and chromosomal
abnormalities (18%), and SIDS (13%).
In other words, causes of death weren't  related to the vaccinations but to pre-existing conditions, SIDS and accidents.  They also found that deaths occurred more commonly in the winter months, in elderly people and the causes of death were consistent with the wider population.
So although Lynne McTaggart would rather have us believe that vaccination is evil somehow, the paper she cites suggests very much the opposite.  The fact that people die after vaccination is not surprising.  They die after all sorts of activities.  Can I get funding for a study to find out how many people die within 60 days of reading McTaggart's rag?
Not that McTaggart or her magazine are in any way anti-vaccine.  Perish the thought.  Though in order to muddy the waters clarify matters, the article does say:
Aside from the elderly, other vulnerable groups include pregnant women and those with chronic health problems, so doctors perhaps need to think carefully before vaccinating these people, say the researchers.
What the researchers actually say is this (my bold):

Although there is currently no evidence to support a causal relationship between vaccinations and death, this study provides background mortality rates following vaccinations to be used as a baseline when examining the safety profiles of new vaccines and during mass immunisations campaigns.
Similar analyses should be conducted when new vaccines are added tot eh ACIP recommended schedule, and also would be useful in other populations, including vulnerable subpopulations such as pregnant women and people with underlying health conditions.
So that's not quite what WDDTY would have you believe.
There is a trend at What Doctors Don't Tell You clearly emerging.  Take a health story, twist it so it looks as if it supports the agenda you are pushing and hype it up to make it more scary.  Oh, and trust the intelligence of your readership does not actually rise to the level where they begin to read for themselves and check the references. 
It didn't take me long to find the paper McTaggart refers to.  If I can do it so can almost any reader with internet access.   And an inquiring mind might be disappointed to find that the news story and the paper don't support one another. 
And she wonders why true skeptics aren't taken with the magazine's efforts.  It's because it isn't honest with its sources.





Next to the text, the page also holds records of crystals =
<<<
Record 1
Starting from a structure optimized by DFT (PBE), the X-ray powder pattern of Pm4PaSn5 was computed for Cu Kα.
Neutral-atom scattering factors, no anomalous dispersion.

Top 10 peaks for 10 to 80 degrees two-theta, in order of falling intensity:
2θ (°)	I/Imax
32.44	100
36.51	37
63.15	30
55.10	22
39.80	14
52.58	13
67.92	12
67.63	12
77.57	4
25.59	2

Structural model:
Lattice parameters (Å, degrees): 3.481 3.481 22.651 90.00 90.00 90.00
Element x y z (fractional)
1 Pm 0.000 0.000 0.101
2 Pm 0.000 0.000 0.304
3 Pm 0.000 0.000 0.696
4 Pm 0.000 0.000 0.899
5 Pa 0.000 0.000 0.500
6 Sn 0.500 0.500 0.000
7 Sn 0.500 0.500 0.202
8 Sn 0.500 0.500 0.403
9 Sn 0.500 0.500 0.597
10 Sn 0.500 0.500 0.798

***

Record 2
Starting from a structure optimized by DFT (PBE), the X-ray powder pattern of PmPa2Te6 was computed for Cu Kα.
Neutral-atom scattering factors, no anomalous dispersion.

Top 10 peaks for 10 to 80 degrees two-theta, in order of falling intensity:
2θ (°)	I/Imax
19.54	100
23.23	44
32.75	44
35.07	41
36.89	40
32.05	36
44.38	33
39.39	29
39.67	22
46.75	20

Structural model:
Lattice parameters (Å, degrees): 11.779 11.779 11.779 151.63 151.63 40.56
Element x y z (fractional)
1 Pm 0.000 0.000 0.000
2 Pa 0.311 0.311 0.000
3 Pa 0.689 0.689 0.000
4 Te 0.174 0.641 0.000
5 Te 0.250 0.750 0.500
6 Te 0.359 0.359 0.532
7 Te 0.641 0.174 0.000
8 Te 0.750 0.250 0.500
9 Te 0.826 0.826 0.468

***

Record 3
Starting from a structure optimized by DFT (PBE), the X-ray powder pattern of PmPa3Te6 was computed for Cu Kα.
Neutral-atom scattering factors, no anomalous dispersion.

Top 10 peaks for 10 to 80 degrees two-theta, in order of falling intensity:
2θ (°)	I/Imax
34.65	100
23.22	61
19.51	46
39.88	29
31.97	29
38.13	26
41.05	18
45.84	17
57.27	16
52.95	14

Structural model:
Lattice parameters (Å, degrees): 9.608 9.608 4.397 90.00 90.00 108.71
Element x y z (fractional)
1 Pm 0.000 0.000 0.000
2 Pa 0.000 0.500 0.500
3 Pa 0.500 0.000 0.500
4 Pa 0.500 0.500 0.000
5 Te 0.154 0.846 0.500
6 Te 0.167 0.401 0.000
7 Te 0.401 0.167 0.000
8 Te 0.599 0.833 0.000
9 Te 0.833 0.599 0.000
10 Te 0.846 0.154 0.500

***

Record 4
Starting from a structure optimized by DFT (PBE), the X-ray powder pattern of PmPaTe2 was computed for Cu Kα.
Neutral-atom scattering factors, no anomalous dispersion.

Top 10 peaks for 10 to 80 degrees two-theta, in order of falling intensity:
2θ (°)	I/Imax
33.25	100
33.03	52
44.74	35
27.68	31
25.57	25
63.42	25
57.16	23
42.52	20
45.26	17
27.41	15

Structural model:
Lattice parameters (Å, degrees): 8.504 4.007 7.044 90.00 90.00 90.00
Element x y z (fractional)
1 Pm 0.000 0.000 0.000
2 Pm 0.500 0.000 0.000
3 Pa 0.000 0.500 0.500
4 Pa 0.500 0.500 0.500
5 Te 0.250 0.000 0.338
6 Te 0.250 0.500 0.825
7 Te 0.750 0.000 0.662
8 Te 0.750 0.500 0.175

***

Record 5
Starting from a structure optimized by DFT (PBE), the X-ray powder pattern of Pm4Pa3Te12 was computed for Cu Kα.
Neutral-atom scattering factors, no anomalous dispersion.
>>>
The records of crystals stop here =


  1. WDDTY's inability to interpret papers (or ability to blatantly lie about them) is not limited to the article above.

    Here is another example:

    On page 10, WDDTY says: "Michael Douglas's recent claims that his throat cancer may have been caused by oral sex isn't backed by the evidence". According to WDDTY, his claim that HPV (which is transmitted by oral sex) causes cancer is untrue, because "researchers from various Universities and clinical centres accross the US...could find no evidence to support the claim"

    WDDTY misinterpret the work of Dr D'Souza, a researcher at Mt Sinai hospital, The paper referred written by her to does not say HPV does not cause throat cancer. In fact, Dr D'Souza has numerous publications on HPV.

    In one review she says:
    "Over the last decade it has become clear that human papillomavirus (HPV) not only causes genital and anal cancers, but also causes a subset of head and neck squamous cell carcinoma (HNSCC). In addition to the estimated ~492,800 cervical cancers caused worldwide by HPV each year, HPV also causes an estimated ~30,000 oropharyngeal cancers, HPV is detected in ~25% of all HNSCC (Kreimer et al., 2005), and the majority of these HPV-associated HNSCC are oropharyngeal (tonsillar and base of tongue) squamous cell cancers. In fact, HPV is now the major cause of oropharyngeal cancer in developed countries, detected in 45–90% of cases (Fig. 1) (D’Souza et al., 2007a; Kreimer et al., 2005; Nasman et al., 2009). HPV has also been detected in a smaller subset of laryngeal (24%) and oral cavity (23%) cancers (Kreimer et al., 2005). There is strong and consistent molecular evidence demonstrating that HPV is an etiological cause of these oropharyngeal cancers. HPV is detected in the tumor of these oropharyngeal cancers, where it is localized to the cell nuclei, transcriptionally active, clonal, and not found in the surrounding benign tissue (Gillison et al., 2000). Epidemiologic evidence for the role of HPV in oropharyngeal cancer is equally strong. Case–control studies consistently show that oropharyngeal cancer cases have a higher average number of lifetime sexual partners (a surrogate for oral HPV exposure) and are more likely to have current oral HPV infection than matched controls."

These data records were left in the page by mistake:
<<<
Diffraction record for PrTm6Se8. The powder diffraction line list is theoretical, not measured: it uses a structure optimized by DFT (PBE) and copper Kα.

Structure:
```
data_PrTm6Se8
_chemical_formula_sum 'Pr4 Tm24 Se32'
_symmetry_space_group_name_H-M 'F m -3 m'
_symmetry_Int_Tables_number 225
_symmetry_space_group_name_Hall '-F 4 2 3'
_cell_length_a 11.3667
_cell_length_b 11.3667
_cell_length_c 11.3667
_cell_angle_alpha 90.00
_cell_angle_beta 90.00
_cell_angle_gamma 90.00
loop_
_atom_site_label
_atom_site_fract_x
_atom_site_fract_y
_atom_site_fract_z
Pr1 0.0000 0.0000 0.0000
Tm1 0.0000 0.2500 0.2500
Se1 0.0000 0.0000 0.2636
Se2 0.2500 0.2500 0.2500
```

Largest 12 diffraction maxima, in order of falling intensity, 5 to 70 degrees two-theta:
| 2theta | d_spacing | I (rel.) |
| --- | --- | --- |
| 31.48 | 2.842 | 100 |
| 45.12 | 2.009 | 73 |
| 56.05 | 1.641 | 25 |
| 27.18 | 3.281 | 16 |
| 65.72 | 1.421 | 12 |
| 53.47 | 1.714 | 9 |
| 15.59 | 5.683 | 6 |
| 22.12 | 4.019 | 5 |
| 26.00 | 3.427 | 5 |
| 34.39 | 2.608 | 4 |
| 35.31 | 2.542 | 4 |
| 13.49 | 6.563 | 3 |

=====

Diffraction record for Pr3YTm2Se6. The powder diffraction line list is theoretical, not measured: it uses a structure optimized by DFT (PBE) and copper Kα.

Structure:
```
data_Pr3YTm2Se6
_chemical_formula_sum 'Pr6 Y2 Tm4 Se12'
_symmetry_space_group_name_H-M 'C 1 2/m 1'
_symmetry_Int_Tables_number 12
_cell_length_a 7.0723
_cell_length_b 12.2949
_cell_length_c 7.3874
_cell_angle_alpha 90.00
_cell_angle_beta 108.70
_cell_angle_gamma 90.00
loop_
_symmetry_equiv_pos_as_xyz
'x,y,z'
'-x,-y,-z'
'-x,y,-z'
'x,-y,z'
'x+1/2,y+1/2,z'
'-x+1/2,-y+1/2,-z'
'-x+1/2,y+1/2,-z'
'x+1/2,-y+1/2,z'
loop_
_atom_site_label
_atom_site_fract_x
_atom_site_fract_y
_atom_site_fract_z
Pr1 0.0000 0.0000 0.0000
Pr2 0.0000 0.3362 0.0000
Y1 0.0000 0.5000 0.5000
Tm1 0.0000 0.1664 0.5000
Se1 0.2380 0.0000 0.7274
Se2 0.2452 0.3310 0.7294
```

Largest 12 diffraction maxima, in order of falling intensity, 5 to 70 degrees two-theta:
| 2theta | d_spacing | I (rel.) |
| --- | --- | --- |
| 30.44 | 2.936 | 100 |
| 42.89 | 2.109 | 38 |
| 44.33 | 2.043 | 24 |
| 54.62 | 1.680 | 13 |
| 44.20 | 2.049 | 12 |
| 26.56 | 3.357 | 11 |
| 63.33 | 1.469 | 8 |
| 52.30 | 1.749 | 8 |
| 54.82 | 1.675 | 6 |
| 25.46 | 3.499 | 5 |
| 63.39 | 1.467 | 4 |
| 51.74 | 1.767 | 3 |

=====

Diffraction record for Pr2USe4. The powder diffraction line list is theoretical, not measured: it uses a structure optimized by DFT (PBE) and copper Kα.

Structure:
```
data_Pr2USe4
_chemical_formula_sum 'Pr8 U4 Se16'
_symmetry_space_group_name_H-M 'I -4 2 d'
_symmetry_Int_Tables_number 122
_symmetry_space_group_name_Hall 'I -4 2bw'
_cell_length_a 8.9191
_cell_length_b 8.9191
_cell_length_c 8.8793
_cell_angle_alpha 90.00
_cell_angle_beta 90.00
_cell_angle_gamma 90.00
loop_
_atom_site_label
_atom_site_fract_x
_atom_site_fract_y
_atom_site_fract_z
Pr1 0.1247 0.7500 0.1250
U1 0.0000 0.0000 0.5000
Se1 0.0749 0.6764 0.4552
```
>>>

    That sounds pretty conclusive, and it leaves no room for doubt as to where the finger of blame lies wrt throat cancer.

    The D'Souza paper from 2013 that WDDTY refers to indicates that the risks relate to number of lifetime partners (and Douglas admits he has had more than a few in his). Essentially, what is demonstrated in her recent work on partners of patients with HPV is that the prevalence of HPV remains low (but still higher than that in the general population), and since many people spontaneously clear HPV, then couples need not become too paranoid about altering their sexual behaviour to limit the risks of HPV acquisition.

    WDDTY's message? That "You don't get throat cancer that way" [ie from HPV infection acquired through oral sex]. In view of the scientific evidence, and in the absence of alternative suggested means of acquiring oral HPV, then the message should be that one does indeed catch throat cancer that way.

    Once again, WDDTY has taken a perfectly sensible paper and twisted its interpretation to fit with its own agenda, just like the "death after vaccination" study above.

    1. Thanks, Dingo, that's an article on its own. Excellent stuff. I suspected the WDDTY line was twisting the evidence but I didn't chase down any references. I wonder how many more there are.
